(Job)
It remains to write out all of the block below without altering anything.

(Data)
No. 1
{
  "formula": "C26H36N4O4",
  "method": "ωB97M-V with the def2-TZVPD basis set",
  "total_charge": 0,
  "smiles": "CCCCNC(=O)CCCn1c(=O)c2ccccc2n(CC(=O)NCCC2=CCCCC2)c1=O",
  "mol_weight_g_mol": 468.60,
  "e_above_lowest_kcal_mol": 4.8,
  "homo_ev": -9.003,
  "total_energy_ev": -41700.514,
  "species": ["C", "C", "C", "C", "N", "C", "O", "C", "C", "C", "N", "C", "O", "C", "C", "C", "C", "C", "C", "N", "C", "C", "O", "N", "C", "C", "C", "C", "C", "C", "C", "C", "C", "O", "H", "H", "H", "H", "H", "H", "H", "H", "H", "H", "H", "H", "H", "H", "H", "H", "H", "H", "H", "H", "H", "H", "H", "H", "H", "H", "H", "H", "H", "H", "H", "H", "H", "H", "H", "H"],
  "positions_angstrom": [[5.918, 3.674, 1.537], [6.351, 2.473, 0.704], [5.216, 1.469, 0.528], [5.648, 0.264, -0.309], [4.551, -0.653, -0.515], [4.495, -1.863, 0.071], [5.398, -2.333, 0.735], [3.186, -2.614, -0.157], [2.262, -2.422, 1.051], [1.591, -1.049, 1.095], [0.563, -0.906, 0.066], [0.830, -0.147, -1.058], [1.926, 0.358, -1.234], [-0.292, 0.028, -1.972], [-0.150, 0.875, -3.073], [-1.211, 1.097, -3.920], [-2.434, 0.488, -3.657], [-2.594, -0.355, -2.576], [-1.514, -0.612, -1.728], [-1.606, -1.466, -0.646], [-2.791, -2.281, -0.431], [-3.856, -1.479, 0.338], [-4.802, -0.961, -0.220], [-3.605, -1.423, 1.651], [-4.352, -0.583, 2.558], [-3.494, 0.592, 3.044], [-3.001, 1.446, 1.907], [-1.708, 1.568, 1.637], [-1.151, 2.442, 0.554], [-2.226, 2.847, -0.449], [-3.470, 3.311, 0.299], [-4.053, 2.145, 1.092], [-0.635, -1.538, 0.321], [-0.822, -2.152, 1.356], [5.085, 4.187, 1.062], [6.739, 4.379, 1.647], [5.604, 3.356, 2.529], [7.195, 1.979, 1.189], [6.686, 2.815, -0.278], [4.883, 1.120, 1.508], [4.369, 1.956, 0.037], [6.438, -0.292, 0.201], [6.020, 0.602, -1.282], [3.725, -0.273, -0.962], [2.702, -2.283, -1.076], [3.430, -3.673, -0.247], [2.851, -2.545, 1.961], [1.484, -3.187, 1.052], [2.318, -0.251, 0.942], [1.100, -0.921, 2.063], [0.808, 1.348, -3.226], [-1.103, 1.750, -4.771], [-3.279, 0.682, -4.300], [-3.566, -0.772, -2.372], [-3.187, -2.604, -1.394], [-2.492, -3.154, 0.154], [-2.728, -1.805, 1.988], [-4.677, -1.183, 3.414], [-5.231, -0.228, 2.018], [-4.100, 1.200, 3.721], [-2.643, 0.201, 3.606], [-0.975, 1.056, 2.249], [-0.726, 3.338, 1.020], [-0.327, 1.933, 0.046], [-2.485, 1.993, -1.077], [-1.848, 3.638, -1.099], [-3.200, 4.120, 0.981], [-4.214, 3.692, -0.402], [-4.501, 1.425, 0.399], [-4.850, 2.500, 1.750]],

(Response)
No. 1
{
  "formula": "C26H36N4O4",
  "method": "ωB97M-V with the def2-TZVPD basis set",
  "total_charge": 0,
  "smiles": "CCCCNC(=O)CCCn1c(=O)c2ccccc2n(CC(=O)NCCC2=CCCCC2)c1=O",
  "mol_weight_g_mol": 468.60,
  "e_above_lowest_kcal_mol": 4.8,
  "homo_ev": -9.003,
  "total_energy_ev": -41700.514,
  "species": ["C", "C", "C", "C", "N", "C", "O", "C", "C", "C", "N", "C", "O", "C", "C", "C", "C", "C", "C", "N", "C", "C", "O", "N", "C", "C", "C", "C", "C", "C", "C", "C", "C", "O", "H", "H", "H", "H", "H", "H", "H", "H", "H", "H", "H", "H", "H", "H", "H", "H", "H", "H", "H", "H", "H", "H", "H", "H", "H", "H", "H", "H", "H", "H", "H", "H", "H", "H", "H", "H"],
  "positions_angstrom": [[5.918, 3.674, 1.537], [6.351, 2.473, 0.704], [5.216, 1.469, 0.528], [5.648, 0.264, -0.309], [4.551, -0.653, -0.515], [4.495, -1.863, 0.071], [5.398, -2.333, 0.735], [3.186, -2.614, -0.157], [2.262, -2.422, 1.051], [1.591, -1.049, 1.095], [0.563, -0.906, 0.066], [0.830, -0.147, -1.058], [1.926, 0.358, -1.234], [-0.292, 0.028, -1.972], [-0.150, 0.875, -3.073], [-1.211, 1.097, -3.920], [-2.434, 0.488, -3.657], [-2.594, -0.355, -2.576], [-1.514, -0.612, -1.728], [-1.606, -1.466, -0.646], [-2.791, -2.281, -0.431], [-3.856, -1.479, 0.338], [-4.802, -0.961, -0.220], [-3.605, -1.423, 1.651], [-4.352, -0.583, 2.558], [-3.494, 0.592, 3.044], [-3.001, 1.446, 1.907], [-1.708, 1.568, 1.637], [-1.151, 2.442, 0.554], [-2.226, 2.847, -0.449], [-3.470, 3.311, 0.299], [-4.053, 2.145, 1.092], [-0.635, -1.538, 0.321], [-0.822, -2.152, 1.356], [5.085, 4.187, 1.062], [6.739, 4.379, 1.647], [5.604, 3.356, 2.529], [7.195, 1.979, 1.189], [6.686, 2.815, -0.278], [4.883, 1.120, 1.508], [4.369, 1.956, 0.037], [6.438, -0.292, 0.201], [6.020, 0.602, -1.282], [3.725, -0.273, -0.962], [2.702, -2.283, -1.076], [3.430, -3.673, -0.247], [2.851, -2.545, 1.961], [1.484, -3.187, 1.052], [2.318, -0.251, 0.942], [1.100, -0.921, 2.063], [0.808, 1.348, -3.226], [-1.103, 1.750, -4.771], [-3.279, 0.682, -4.300], [-3.566, -0.772, -2.372], [-3.187, -2.604, -1.394], [-2.492, -3.154, 0.154], [-2.728, -1.805, 1.988], [-4.677, -1.183, 3.414], [-5.231, -0.228, 2.018], [-4.100, 1.200, 3.721], [-2.643, 0.201, 3.606], [-0.975, 1.056, 2.249], [-0.726, 3.338, 1.020], [-0.327, 1.933, 0.046], [-2.485, 1.993, -1.077], [-1.848, 3.638, -1.099], [-3.200, 4.120, 0.981], [-4.214, 3.692, -0.402], [-4.501, 1.425, 0.399], [-4.850, 2.500, 1.750]],